VLAN: For information on adding a NIC to a VLAN (Virtual LAN), refer to VLAN Settings.
Bonding NICs: For information on bonding multiple network interface cards (NICs), refer to Bonding
Bonding NICs
Bonding network interface cards (NICs) is a way to provide redundancy for your ix4-300d on the network. If
one NIC should fail, your ix4-300d will remain accessible on the network if that NIC is bonded to others.
Depending on the bonding mode selected, it can also increase bandwidth. See Manually Configuring
Network Settings for information on bonding mode options and how to change the bonding mode.
You can bond two or more network interface cards (NICs) in your ix4-300d by selecting the NICs and
clicking Apply.
Use the following procedure to bond NICs.
1. On the Network page, expand the NIC number and then expand the Bond Network Interface
2. Check the checkboxes next to the NICs that you want to bond to the selected NIC. For example, if
you selected NIC 1, and your configuration includes four NICs, you could bond NIC 1 to NIC 2, 3,
and/or 4.
3. Click Apply to save your settings.
4. The section updates and displays the NICs that are bonded to the selected NIC.
Unbonding NICs
1. To unbond a NIC, uncheck the box next to the bonded NIC.
2. Click Apply to save your settings.
VLAN Settings
A VLAN (Virtual Local Area Network) is a network of devices that are joined into one broadcast domain,
- - -
Record 1
The following is a PBE calculation of an optimized crystal structure of Ba2Sb2O5, from the Materials Project.

Unit cell a=7.629 b=7.629 c=6.517 alpha=90.00 beta=90.00 gamma=149.44
Positions (direct):
O  0.157  0.843  0.225
O  0.524  0.476  0.000
O  0.157  0.843  0.775
O  0.841  0.159  0.722
O  0.841  0.159  0.278
Ba  0.324  0.676  0.000
Ba  0.678  0.322  0.500
Sb  0.070  0.930  0.000
Sb  0.931  0.069  0.500

## Properties
Corrected total energy (MP2020 scheme) in eV per atom: -6.431
Final energy in eV/atom: -6.050
Offset from the most stable computed form in meV/atom: 151
Space group: Amm2, No. 38

=====

Record 2
The following is a PBE calculation of an optimized crystal structure of Al10Si2O19, from the Materials Project.

Unit cell a=15.432 b=15.432 c=7.688 alpha=90.00 beta=90.00 gamma=157.89
Positions (direct):
O  0.902  0.098  0.565
O  0.486  0.027  0.703
O  0.164  0.836  0.638
O  0.657  0.343  0.595
O  0.474  0.526  0.427
O  0.785  0.722  0.210
O  0.729  0.271  0.447
O  0.420  0.580  0.939
O  0.076  0.924  0.471
O  0.975  0.025  0.419
O  0.804  0.196  0.553
O  0.025  0.975  0.919
O  0.836  0.653  0.780
O  0.419  0.117  0.307
O  0.580  0.420  0.439
O  0.347  0.164  0.780
O  0.653  0.836  0.280
O  0.196  0.804  0.053
O  0.278  0.215  0.210
O  0.164  0.347  0.280
O  0.883  0.581  0.307
O  0.514  0.973  0.203
O  0.271  0.729  0.947
O  0.836  0.164  0.138
O  0.924  0.076  0.971
O  0.027  0.486  0.203
O  0.216  0.784  0.382
O  0.098  0.902  0.065
O  0.343  0.657  0.095
O  0.581  0.883  0.807
O  0.784  0.216  0.882
O  0.973  0.514  0.703
O  0.599  0.401  0.090
O  0.215  0.278  0.710
O  0.401  0.599  0.590
O  0.117  0.419  0.807
O  0.722  0.785  0.710
O  0.526  0.474  0.927
Al  0.525  0.475  0.320
Al  0.219  0.781  0.824
Al  0.898  0.102  0.170
Al  0.183  0.302  0.493
Al  0.443  0.065  0.508
Al  0.935  0.557  0.508
Al  0.145  0.855  0.189
Al  0.855  0.145  0.689
Al  0.399  0.601  0.163
Al  0.970  0.030  0.839
Al  0.698  0.817  0.493
Al  0.030  0.970  0.339
Al  0.601  0.399  0.663
Al  0.817  0.698  0.993
Al  0.475  0.525  0.820
Al  0.781  0.219  0.324
Al  0.102  0.898  0.670
Al  0.557  0.935  0.008
Al  0.302  0.183  0.993
Al  0.065  0.443  0.008
Si  0.757  0.243  0.686
Si  0.243  0.757  0.186
Si  0.381  0.619  0.784
Si  0.619  0.381  0.284

## Properties
Corrected total energy (MP2020 scheme) in eV per atom: -7.929
Final energy in eV/atom: -7.508
Offset from the most stable computed form in meV/atom: 6
Space group: Cmc2_1, No. 36

=====

Record 3
The following is a PBE calculation of an optimized crystal structure of VPt, from the Materials Project.

Unit cell a=2.704 b=2.704 c=3.918 alpha=90.00 beta=90.00 gamma=90.00
Positions (direct):
V  0.500  0.500  0.500
Pt  0.000  0.000  0.000

## Properties
Final energy in eV/atom: -8.128
Space group: P4/mmm, No. 123

=====

Record 4
The following is a PBE calculation of an optimized crystal structure of Na5AlO4, from the Materials Project.
- - -
even if the devices are not physically connected to each other. VLANs are useful for creating smaller
networks within a larger LAN; for example, a legal department in a company might be on its own VLAN
because it has sensitive documents that only certain personnel should have access to. The smaller
networks that VLANs create do not require any additional physical resources, such as additional cabling.
Your ix4-300d Network Storage can be configured to support VLANs by connecting the corresponding
physical NIC to the trunk port of an L2/L3 switch.
VLAN is configured for each NIC, but it is not supported on bonded NICs. If a NIC is bonded, you must
unbind it first to configure it for a VLAN.
Adding a VLAN
1. To add a VLAN, expand the VLAN Settings section of a NIC.
2. Click Add VLAN.
3. Enter a VLAN ID value between 2 and 4094. You can enter up to 4 VLAN IDs for each NIC. A
VLAN can obtain its network settings from DHCP, or you can uncheck DHCP and enter the IP
address, subnet mask, and gateway manually.
4. Refer to Network Settings on page 6 for information about jumbo frames.
Setting up Your ix4-300d Network Storage
**Someone pasted materials data at this point:**
┌──
1.
148
Lattice="11.7373 0.0000 0.0000 0.0000 14.5746 0.0000 0.0000 0.0000 15.6033" Properties=species:S:1:pos:R:3 comment="Fe4Te2MoC14S2O14 | the Materials Project database | PBE+U | relaxed" energy_ev_per_atom=-6.89 space_group="Pna2_1 (33)" vol_a3_per_cell=2669 formation_enthalpy_0k_ev_per_atom=-0.541 magnetic_moment_mub_per_fu=0.00 pbc="T T T"
O 4.1075 6.1636 1.9950
O 9.2182 14.2966 12.7480
O 1.7611 13.4509 1.9950
O 6.9609 11.3485 10.1276
O 2.7265 7.1510 10.4995
O 7.4620 4.2115 10.6826
O 0.7419 5.3095 12.3588
O 3.4933 3.6071 5.4790
O 6.8265 8.7023 15.3852
O 9.9761 1.1236 9.7967
O 10.3566 5.0461 0.4761
O 0.4459 12.9582 12.9878
O 1.1297 6.3829 1.5689
O 9.3620 3.6801 13.2807
O 6.3145 8.9037 5.1861
O 2.3753 10.8944 5.4790
O 4.2753 10.3631 2.8809
O 4.4880 2.2411 8.2777
O 10.6449 4.0612 10.1276
O 3.3496 7.5653 4.9463
O 10.4524 12.4402 1.2329
O 1.0923 10.5134 2.3260
O 1.5933 3.0758 2.8809
O 2.5190 0.2780 4.9463
O 0.0051 1.8938 12.2976
O 5.8738 5.3935 4.4959
O 5.4227 5.6709 12.9878
O 4.5837 9.4216 9.0346
O 7.1535 5.1529 1.2329
O 11.2914 1.6164 5.1861
O 5.8635 9.1811 12.2976
O 8.5952 0.1362 2.6979
O 10.7794 1.4150 15.3852
O 1.2849 2.1343 9.0346
O 4.9107 5.8723 7.5836
O 9.0107 7.4235 2.6979
O 3.1421 14.4383 10.4995
O 11.7321 12.6807 4.4959
O 7.6297 8.4109 9.7967
O 9.2573 3.1234 2.9933
O 8.3876 7.0093 12.7480
O 10.9953 9.2651 4.5571
O 7.2492 12.3334 0.4761
O 4.7389 13.6702 1.5689
O 5.1267 12.5968 12.3588
O 10.6075 8.1917 9.3705
O 4.7763 3.2261 2.3260
O 2.4799 11.4512 10.7950
O 8.2439 10.9674 13.2807
O 6.6106 1.9778 4.5571
O 8.3486 10.4107 2.9933
O 1.3806 9.5284 8.2777
O 10.1439 11.4988 10.6826
O 0.9579 13.1596 7.5836
O 3.3887 4.1639 10.7950
O 6.9984 0.9044 9.3705
Te 5.8427 1.8420 12.6491
Te 0.0260 9.1293 12.6491
Te 8.4944 3.8234 6.8896
Te 3.2428 10.7512 14.6912
Te 9.1115 11.1107 6.8896
Te 11.7113 5.4453 4.8474
Te 5.8946 12.7326 4.8474
Te 2.6258 3.4639 14.6912
Fe 8.8250 12.6874 4.8350
Fe 10.9807 7.1529 14.1135
Fe 1.8963 1.4006 0.4747
Fe 0.8233 3.8351 6.6688
Fe 5.0453 11.1224 6.6688
Fe 8.7809 5.4001 4.8350
Fe 9.8410 13.1740 8.2764
Fe 5.1121 0.1344 6.3119
Fe 6.6920 3.4522 14.4705
Fe 10.9139 10.7395 14.4705
Fe 6.6251 14.4401 14.1135
Fe 7.7649 5.8867 8.2764
Fe 2.9123 1.8872 12.6367
Fe 2.9563 9.1745 12.6367
Fe 3.9724 8.6879 0.4747
Fe 0.7565 7.4217 6.3119
C 1.1454 7.2654 0.8064
C 8.5035 11.2974 3.7188
C 4.1392 9.7103 1.9324
C 8.6205 13.9301 3.5489
C 5.6942 8.7056 0.0329
C 11.5720 8.5506 5.2674
C 10.5873 12.6540 4.6520
C 4.0285 7.1594 1.4109
C 7.0543 11.9161 9.1172
C 5.8365 9.7689 5.7956
C 0.0321 2.4816 5.7956
C 9.4166 7.0926 13.2804
C 10.6487 11.7478 0.3218
C 8.2992 3.5798 13.7370
C 10.5918 7.3092 8.6080
C 4.6829 2.6585 1.3155
C 2.7519 7.9318 11.3506
C 7.5980 4.8642 9.7341
C 6.9862 13.1727 15.3226
C 3.1168 0.6445 11.3506
C 1.0886 2.8268 8.1235
C 6.9572 4.4605 0.3218
C 4.7801 10.1140 8.1235
C 11.5628 13.1562 7.8346
C 1.1499 1.9206 12.4536
C 9.3066 10.8671 13.7370
C 4.7510 1.4019 7.5209
C 4.7232 14.5527 0.8064
C 5.9008 4.8057 13.5972
C 0.1653 6.0239 13.0690
└──
the ix4-300d